
Phase I Planning/Preparation — status as of 11/11



Develop scheme for creating user accounts

Complete 9/9

Set up test domain account

Complete 9/9

Test provisioning on test account

Complete 9/9

Test Google Apps product suite

Complete 9/9

Test DNS resolution from all network locations to Google Apps

Complete 9/9

Test ICMP connectivity from all network locations to Google Apps

Complete 9/9

Test TCP/UDP reliability from all locations to Google Apps

Complete 9/9

Open firewalls to Google Apps ports

Complete 9/9

Develop scheme for importing/creating passwords

Complete 9/23

• Misplaced crystal structures:
********
Compound: Nd3Ge5
Source: the Materials Project database
Functional: PBE-GGA
Structure: optimized geometry

Cell lengths 11.4105, 9.4281, 7.6894 Å; angles 82.94, 55.09, 41.97 degrees
With the nearest neighbours (Å) after each atom.
Sites, in units of the cell vectors:
Nd1 0.5800 0.5822 0.9296  9 Ge 3.06-3.39
Nd2 0.9981 0.0019 0.9981  8 Ge 3.08-3.18
Nd3 0.2481 0.2519 0.2481  8 Ge 3.08-3.18
Nd4 0.6678 0.6700 0.3418  9 Ge 3.06-3.39
Nd5 0.3418 0.3204 0.6678  9 Ge 3.06-3.39
Ge1 0.3766 0.4818 0.9363  2 Ge 2.57-2.64
Nd6 0.9296 0.9082 0.5800  9 Ge 3.06-3.39
Ge2 0.7682 0.8734 0.0446  2 Ge 2.57-2.64
Ge3 0.9363 0.2054 0.3766  2 Ge 2.57-2.64
Ge4 0.0446 0.3137 0.7682  2 Ge 2.57-2.64
Ge5 0.6954 0.8046 0.6954  2 Ge 2.62
Ge6 0.4878 0.3386 0.1834  3 Ge 2.57-2.64
Ge7 0.2598 0.0666 0.9114  3 Ge 2.57-2.64
Ge8 0.9114 0.7622 0.2598  3 Ge 2.57-2.64
Ge9 0.4454 0.5546 0.4454  2 Ge 2.62
Ge10 0.1834 0.9902 0.4878  3 Ge 2.57-2.64

Computed properties:
Formation energy in meV/atom: -743
E in eV per atom: -5.420
Space-group type: Fdd2

=====

Record 1
PBE+U LiCoP4O12, optimized geometry; E_form = -2.355 eV/atom; energy above the most stable polymorph in this dataset = 76 meV/atom; DFT total energy = -6.808 eV per atom
1.0
5.084 0.000 0.000
-2.422 6.728 0.000
-0.932 -2.887 6.892
O P Li Co
12 4 1 1
Cartesian
0.717 4.903 2.416
2.126 1.787 2.541
-0.389 1.834 4.325
4.288 1.061 1.311
-1.315 3.498 1.591
-1.372 5.953 1.302
-2.478 2.789 5.540
3.025 0.301 5.407
0.971 -0.886 4.464
2.321 2.101 0.066
-0.627 1.718 6.850
2.946 -2.168 5.571
3.119 2.054 1.489
-0.366 4.782 1.440
2.038 -0.933 5.476
-1.373 1.730 5.410
0.591 0.590 3.096
1.701 3.812 6.809

Record 2
PBE+U Li9Co7O16, optimized geometry; E_form = -1.695 eV/atom; energy above the most stable polymorph in this dataset = 61 meV/atom; DFT total energy = -5.558 eV per atom
1.0
-5.634 -0.786 -1.113
3.906 -3.809 -2.192
-0.985 -3.969 8.809
Li Co O
9 7 16
Cartesian
-2.240 -4.551 -0.432
0.571 -4.148 0.126
-0.473 -4.014 5.936
1.953 -1.905 -1.096
-3.284 -4.416 5.377
2.010 -5.987 1.934
-0.864 -2.298 -1.653
0.000 0.000 0.000
-4.723 -2.577 3.570
-1.365 -2.180 1.199
-2.817 -0.393 -0.556
0.048 -4.062 3.046
1.514 -5.981 4.861
-1.347 -6.384 4.305
-2.760 -4.502 2.458
-4.226 -2.583 0.643
-4.859 -4.499 6.684
-0.228 -2.035 2.903
-2.485 -6.529 2.601
1.651 -3.879 1.937
-1.166 -4.266 1.382
-1.546 -4.298 4.122
-0.151 -6.247 5.982
-0.441 -4.431 -1.668
0.308 -6.116 3.233
2.147 -4.065 -1.180
-2.561 -2.317 -0.478
-2.271 -4.133 7.172
-4.364 -4.685 3.567
-3.020 -2.448 2.271
-2.968 -6.460 5.292
0.255 -2.104 0.212

=====

# 1
Compound: Dy4Ga12Pd
Source: the Materials Project database
Functional: r2SCAN
Structure: relaxed

Structure (CIF):
```
data_Dy4Ga12Pd
_chemical_formula_sum 'Dy4 Ga12 Pd1'
_symmetry_space_group_name_H-M 'P 1'
_symmetry_Int_Tables_number 1
_symmetry_space_group_name_Hall 'P 1'
_cell_length_a 7.404
_cell_length_b 7.404
_cell_length_c 7.404
_cell_angle_alpha 109.47
_cell_angle_beta 109.47
_cell_angle_gamma 109.47
loop_
_atom_site_label
********
• Back to the piece:

Develop scheme for data migration (1)

Complete 9/23

Develop scheme for mail architecture & delivery

Complete 9/23

Set tentative Go Live dates

Complete 9/9

Develop scheme for marketing

Complete 9/13

Develop scheme for training

Complete 9/19

Enable contact sharing

Complete 10/21

Confirm Go Live dates

Complete 9/23

Determine ownership

Complete 9/23

Decide user groups/services (2)

Complete 9/23

Choose name for email service & collaboration suite

Complete 9/28

Customize/upload logo

Complete 9/19

Customize login page

Complete 11/4

Customize support contact information

Complete 11/4

Create informational flyers & posters for announcement

### Someone pasted data records at this point
- - -
[1]
Here is crystalline Li2GeS6O21 at its relaxed geometry from Materials Project. Energies are from PBE-GGA.

a b c (Å): 14.8064 14.8063 15.6402
angles (deg): 61.75 61.75 60.00
Closest atoms and distances in Å follow each position.
Fractional positions:
Li: 0.6454 0.3125 0.0295  5 O 2.10-2.31
Li: 0.0127 0.6454 0.0295  5 O 2.10-2.31
Li: 0.3124 0.0127 0.0295  5 O 2.10-2.31
Li: 0.3546 0.6875 0.9705  5 O 2.10-2.31
Li: 0.9873 0.3546 0.9705  5 O 2.10-2.31
Li: 0.6876 0.9873 0.9705  5 O 2.10-2.31
Li: 0.8483 0.1693 0.5341  3 O 2.07-2.09
Li: 0.4484 0.8483 0.5341  3 O 2.07-2.09
Li: 0.1693 0.4484 0.5341  3 O 2.07-2.09
Li: 0.1517 0.8307 0.4659  3 O 2.07-2.09
Li: 0.5516 0.1517 0.4659  3 O 2.07-2.09
Li: 0.8307 0.5516 0.4659  3 O 2.07-2.09
Ge: 0.9170 0.9170 0.2491  6 O 1.90-1.91
Ge: 0.0830 0.0830 0.7509  6 O 1.90-1.91
Ge: 0.2561 0.2561 0.2317  6 O 1.91-1.93
Ge: 0.7439 0.7439 0.7683  6 O 1.91-1.93
Ge: 0.5788 0.5788 0.2638  6 O 1.93-1.95
Ge: 0.4212 0.4212 0.7362  6 O 1.93-1.95
S: 0.8460 0.8427 0.1347  3 O 1.43-1.52
S: 0.1767 0.8460 0.1347  3 O 1.43-1.52
S: 0.8427 0.1767 0.1347  3 O 1.43-1.52
S: 0.1540 0.1573 0.8653  3 O 1.43-1.52
S: 0.8233 0.1540 0.8653  3 O 1.43-1.52
S: 0.1573 0.8233 0.8653  3 O 1.43-1.52
S: 0.4231 0.1185 0.3594  3 O 1.43-1.53
S: 0.0991 0.4231 0.3594  3 O 1.43-1.53
S: 0.1185 0.0991 0.3594  3 O 1.43-1.53
S: 0.5769 0.8815 0.6406  3 O 1.43-1.53
S: 0.9009 0.5769 0.6406  3 O 1.43-1.53
S: 0.8815 0.9009 0.6407  3 O 1.43-1.53
S: 0.5050 0.1371 0.1465  3 O 1.43-1.53
S: 0.2113 0.5050 0.1465  3 O 1.43-1.53
S: 0.1371 0.2113 0.1465  3 O 1.43-1.53
S: 0.4950 0.8629 0.8535  3 O 1.43-1.53
S: 0.7887 0.4950 0.8535  3 O 1.43-1.53
S: 0.8629 0.7887 0.8535  3 O 1.43-1.53
S: 0.7310 0.8256 0.3473  3 O 1.43-1.53
S: 0.0962 0.7310 0.3473  3 O 1.43-1.53
S: 0.8256 0.0962 0.3473  3 O 1.43-1.53
S: 0.2690 0.1744 0.6527  3 O 1.43-1.53
S: 0.9038 0.2690 0.6527  3 O 1.43-1.53
S: 0.1744 0.9038 0.6527  3 O 1.43-1.53
S: 0.5023 0.5230 0.1413  3 O 1.43-1.53
S: 0.8334 0.5023 0.1413  3 O 1.43-1.53
S: 0.5230 0.8334 0.1413  3 O 1.43-1.53
S: 0.4977 0.4770 0.8587  3 O 1.43-1.53
S: 0.1666 0.4977 0.8587  3 O 1.43-1.53
S: 0.4770 0.1666 0.8587  3 O 1.43-1.53
S: 0.7652 0.4289 0.3608  3 O 1.43-1.54
S: 0.4451 0.7652 0.3608  3 O 1.43-1.54
S: 0.4289 0.4451 0.3608  3 O 1.43-1.54
S: 0.2348 0.5711 0.6392  3 O 1.43-1.54
S: 0.5549 0.2348 0.6392  3 O 1.43-1.54
S: 0.5711 0.5549 0.6392  3 O 1.43-1.54
O: 0.9251 0.8536 0.1625  1 S 1.52
O: 0.0588 0.9251 0.1625  1 S 1.52
O: 0.8536 0.0588 0.1625  1 S 1.52
O: 0.0749 0.1464 0.8375  1 S 1.52
O: 0.9412 0.0749 0.8375  1 S 1.52
O: 0.1464 0.9412 0.8375  1 S 1.52
O: 0.7785 0.9027 0.3364  1 S 1.53
O: 0.9824 0.7785 0.3364  1 S 1.53
O: 0.9027 0.9824 0.3364  1 S 1.53
O: 0.2215 0.0973 0.6636  1 S 1.53
O: 0.0176 0.2215 0.6636  1 S 1.53
O: 0.0973 0.0176 0.6636  1 S 1.53
O: 0.4931 0.0617 0.2666  2 S 1.64-1.66
O: 0.1786 0.4931 0.2666  2 S 1.64-1.66
O: 0.0617 0.1786 0.2666  2 S 1.64-1.66
O: 0.5069 0.9383 0.7334  2 S 1.64-1.66
O: 0.8214 0.5069 0.7334  2 S 1.64-1.66
- - -


Informational website (3)

Complete 11/4

Client Services training (4)

Moved to Phase II

Customize documentation for Pilot (5)

Complete 11/7

Modify provisioning methods

Complete 11/4

Modify migration strategies

Complete 11/8

Confirm mail architecture plans

Complete 11/4

Email existing Google accounts (6)

Removed Task

Create Google accounts for all L&C users

Removed Task
















































1 Develop scheme for data migration

Wayne Ohmer, Database Administrator, and Chris Stevens, Director of Network/Telecommunications Services, are responsible for this task. 

The two options for data migration include an opt-in period to allow users to migrate voluntarily, terminating in a non-voluntary migration for those who have not yet migrated, or a single massive migration of all email accounts on one day.

The culture of the L&C community leads us to favor the opt-in option, if possible.

Update: Opt-in is possible and will be the option pursued.


2Decide user groups/services

Google Apps for Education provide for the option of including several applications for all users, or to include different access for different groups, such as Faculty, Staff, Students and Alumni.  The primary applications are Mail, Calendar, Docs (Cloud-based word processing, spreadsheets, presentation, drawing and file storage), Groups, and Sites.  Optional applications not included in our support agreement, but available for association with our domain include such popular Google products as Blogger, Maps, YouTube, Earth, and many others.

 Update: All community members will have access to the same services with the exception of Video, due to its limited storage and uploader licenses.  Alumni will be supported within Google Apps for the first year after their graduation, per the current policy.


3Informational website

This is to provide information about the Google Migration and the included apps to the Lewis & Clark community, and will provide links to customized documentation as well as an FAQ page. While the ultimate responsibility lies with Julio Appling, he will be receiving assistance from Miranda Carney-Morris and Elizabeth Young as needed.


4Client Services training/certification

 Google offers a six-part online training course in their Apps for Education suite, including modules in Apps Overview, Mail, Calendar, Docs, Sites, and Other Tools.  They also offer a Certified Trainer qualification exam, allowing for an official “stamp of approval” from Google and granting access to additional marketing support and training opportunities.  This allows for the Client Services group to offer more in-depth training to the L&C community, including specific academic usage of the Google App suite.

 Update: Due to the workload of the Client Serviced staff during this phase, we have postponed the certification requirement until December.

5Customize documentation 

Google provides a great deal of documentation for new users of their App suite.  The intention is to sift through their documentation and customize it for the L&C community.  The group will also create some documentation specific to the migration of existing accounts.


6Email blast for existing Google accounts

Some members of the campus community have created Google accounts using their logins; these cannot be migrated to the Google Apps domain.  When a new account is created for these users in the lclark Google domain they will receive an email from Google informing them that they have to rename their Google account.  This email blast to the community will let them know to expect this email from Google, explain the reasons behind it, and assure them that the email is legitimate and not a Phishing email.

 Update: We have moved this email to be part of the January opt-in email, as it was no longer deemed necessary to pre-create accounts for L&C users.